Transcribe all of the contents below without additions.

(1)
CuNi3C8O24 after structural relaxation. Source: the Materials Project, functional PBE with a Hubbard U.

a = 8.442 Å, b = 8.536 Å, c = 9.295 Å
α = 96.86°, β = 90.24°, γ = 91.07°
Space group P-1 (No. 2)
Symmetry-distinct sites (fractional):
Cu  0.000  0.000  0.000 (multiplicity 1)
Ni  0.000  0.500  0.500 (multiplicity 1)
Ni  0.500  0.000  0.500 (multiplicity 1)
Ni  0.500  0.500  0.000 (multiplicity 1)
C  0.152  0.330  0.955 (multiplicity 2)
C  0.184  0.892  0.695 (multiplicity 2)
C  0.314  0.895  0.197 (multiplicity 2)
C  0.346  0.332  0.455 (multiplicity 2)
O  0.003  0.309  0.544 (multiplicity 2)
O  0.090  0.914  0.788 (multiplicity 2)
O  0.094  0.602  0.649 (multiplicity 2)
O  0.145  0.207  0.003 (multiplicity 2)
O  0.156  0.449  0.906 (multiplicity 2)
O  0.220  0.885  0.103 (multiplicity 2)
O  0.283  0.887  0.606 (multiplicity 2)
O  0.342  0.451  0.405 (multiplicity 2)
O  0.353  0.211  0.505 (multiplicity 2)
O  0.404  0.919  0.294 (multiplicity 2)
O  0.411  0.603  0.149 (multiplicity 2)
O  0.497  0.310  0.048 (multiplicity 2)

(2)
ErFeC6N6O5 after structural relaxation. Source: the Materials Project, functional PBE with a Hubbard U.

a = 7.4498 Å, b = 7.4498 Å, c = 13.4085 Å
α = 90.00°, β = 90.00°, γ = 120.00°
Space group P6_3/m (No. 176)
Symmetry-distinct sites (fractional):
Er  0.3333  0.6667  0.2500 (multiplicity 2)
Fe  0.0000  0.0000  0.0000 (multiplicity 2)
C  0.1097  0.8620  0.0820 (multiplicity 12)
N  0.1768  0.7857  0.1356 (multiplicity 12)
O  0.1190  0.5791  0.7500 (multiplicity 6)
O  0.3333  0.6667  0.6509 (multiplicity 4)

(3)
ErFeC6N6O4 after structural relaxation. Source: the Materials Project, functional PBE with a Hubbard U.

a = 7.344 Å, b = 13.365 Å, c = 7.492 Å
α = 90.00°, β = 119.29°, γ = 90.00°
Space group P2_1/m (No. 11)
Symmetry-distinct sites (fractional):
Er  0.174  0.250  0.343 (multiplicity 2)
Fe  0.500  0.000  0.000 (multiplicity 2)
C  0.243  0.578  0.867 (multiplicity 4)
C  0.388  0.088  0.764 (multiplicity 4)
C  0.390  0.090  0.127 (multiplicity 4)
N  0.097  0.631  0.792 (multiplicity 4)
N  0.322  0.142  0.622 (multiplicity 4)
N  0.323  0.143  0.205 (multiplicity 4)
O  0.082  0.750  0.163 (multiplicity 2)
O  0.097  0.750  0.442 (multiplicity 2)
O  0.146  0.674  0.327 (multiplicity 4)

(4)
FeH18C3N9F6 after structural relaxation. Source: the Materials Project, functional PBE with a Hubbard U.

a = 14.336 Å, b = 14.336 Å, c = 14.336 Å
α = 90.00°, β = 90.00°, γ = 90.00°
Space group Pa-3 (No. 205)
Symmetry-distinct sites (fractional):
Fe  0.000  0.000  0.000 (multiplicity 4)
Fe  0.000  0.000  0.500 (multiplicity 4)
H  0.003  0.244  0.113 (multiplicity 24)

(1)
CuNi3C8O24 after structural relaxation. Source: the Materials Project, functional PBE with a Hubbard U.

a = 8.442 Å, b = 8.536 Å, c = 9.295 Å
α = 96.86°, β = 90.24°, γ = 91.07°
Space group P-1 (No. 2)
Symmetry-distinct sites (fractional):
Cu  0.000  0.000  0.000 (multiplicity 1)
Ni  0.000  0.500  0.500 (multiplicity 1)
Ni  0.500  0.000  0.500 (multiplicity 1)
Ni  0.500  0.500  0.000 (multiplicity 1)
C  0.152  0.330  0.955 (multiplicity 2)
C  0.184  0.892  0.695 (multiplicity 2)
C  0.314  0.895  0.197 (multiplicity 2)
C  0.346  0.332  0.455 (multiplicity 2)
O  0.003  0.309  0.544 (multiplicity 2)
O  0.090  0.914  0.788 (multiplicity 2)
O  0.094  0.602  0.649 (multiplicity 2)
O  0.145  0.207  0.003 (multiplicity 2)
O  0.156  0.449  0.906 (multiplicity 2)
O  0.220  0.885  0.103 (multiplicity 2)
O  0.283  0.887  0.606 (multiplicity 2)
O  0.342  0.451  0.405 (multiplicity 2)
O  0.353  0.211  0.505 (multiplicity 2)
O  0.404  0.919  0.294 (multiplicity 2)
O  0.411  0.603  0.149 (multiplicity 2)
O  0.497  0.310  0.048 (multiplicity 2)

(2)
ErFeC6N6O5 after structural relaxation. Source: the Materials Project, functional PBE with a Hubbard U.

a = 7.4498 Å, b = 7.4498 Å, c = 13.4085 Å
α = 90.00°, β = 90.00°, γ = 120.00°
Space group P6_3/m (No. 176)
Symmetry-distinct sites (fractional):
Er  0.3333  0.6667  0.2500 (multiplicity 2)
Fe  0.0000  0.0000  0.0000 (multiplicity 2)
C  0.1097  0.8620  0.0820 (multiplicity 12)
N  0.1768  0.7857  0.1356 (multiplicity 12)
O  0.1190  0.5791  0.7500 (multiplicity 6)
O  0.3333  0.6667  0.6509 (multiplicity 4)

(3)
ErFeC6N6O4 after structural relaxation. Source: the Materials Project, functional PBE with a Hubbard U.

a = 7.344 Å, b = 13.365 Å, c = 7.492 Å
α = 90.00°, β = 119.29°, γ = 90.00°
Space group P2_1/m (No. 11)
Symmetry-distinct sites (fractional):
Er  0.174  0.250  0.343 (multiplicity 2)
Fe  0.500  0.000  0.000 (multiplicity 2)
C  0.243  0.578  0.867 (multiplicity 4)
C  0.388  0.088  0.764 (multiplicity 4)
C  0.390  0.090  0.127 (multiplicity 4)
N  0.097  0.631  0.792 (multiplicity 4)
N  0.322  0.142  0.622 (multiplicity 4)
N  0.323  0.143  0.205 (multiplicity 4)
O  0.082  0.750  0.163 (multiplicity 2)
O  0.097  0.750  0.442 (multiplicity 2)
O  0.146  0.674  0.327 (multiplicity 4)

(4)
FeH18C3N9F6 after structural relaxation. Source: the Materials Project, functional PBE with a Hubbard U.

a = 14.336 Å, b = 14.336 Å, c = 14.336 Å
α = 90.00°, β = 90.00°, γ = 90.00°
Space group Pa-3 (No. 205)
Symmetry-distinct sites (fractional):
Fe  0.000  0.000  0.000 (multiplicity 4)
Fe  0.000  0.000  0.500 (multiplicity 4)
H  0.003  0.244  0.113 (multiplicity 24)